BY: Alexandra Roxo · Healing
Spiritual and queer? It’s on us to create places to practice that reflect every shade of spiritual pride, says Alexandra Roxo … PLUS 3 ways to create more inclusive healing spaces.
Some of my favorite summer memories were in my first Pride month in New York City in 2009. I was falling in love and my girlfriend was ecstatic to be bringing me into her community. It almost felt cliche to fall in love during Pride! Finally coming out as bisexual/queer, after years of closeted same sex encounters not deemed appropriate in Marietta, GA where I grew up, I finally was able to be the whole me.
During this time though I veered away from some of my spiritual growth. Not because I actively thought I couldn’t be in a lesbian relationship and also be spiritual, but on a subconscious level I had internalized this belief. Why? Because none of the spiritual traditions I’d studied said anything positive about same sex partnerships or sexuality. When I asked some of my yogic teachers about this, they frowned and avoided the question.
There also weren’t any spiritual leaders I looked towards who were openly queer. So in a sense, during those years I shunned my own spiritual devotion in order to express my true sexuality.
It is difficult to stay committed to a spiritual practice when your leaders and teachers don’t reflect your experience. Deepak wasn’t queer. Yogananda wasn’t. Marianne wasn’t. The tantra books I was reading all featured hetero couples so I stopped reading them. In spiritual circles or in yoga communities and retreats I felt out of place. So I nixed them for a while and made plant medicines and gay nightclubs my church.

As I matured however, I realized that just because Krishna and Radha aren’t gay, or Jesus and Mary Magdalene, that being queer doesn’t make me less devoted. I turned my attention inwards and began to focus again on my practice. Even though the retreats and spiritual communities I was in remained mainly straight and white, I stopped giving a fuck and showed up anyway without looking for a validation of my experience there.
When teachers assumed hetero preference as we discussed sacred spiritual sex practices, I would get hot and nervous and want to speak up. It always took me a moment to raise my hand and say I was bisexual/queer identified, but it was always worth it. And not only for me, but also so the teacher could consider including diverse experiences in the class.
On my path, I’ve also been deeply inspired by every other person who shows up to retreats, yoga classes, and ceremonies despite not seeing their experience reflected in the people there. Who raises their hand and stands up for their experience, too. Not to prove a point. But to feel seen. To begin to shift an outdated paradigm and create change. It takes a brave soul to willingly highlight your difference, but it is worth it—for each of us personally, and also as a collective.
The below queer leaders and teachers are going one step further by shifting the face of wellness to open the gates for way more inclusion and love in the spiritual scene. Here they are offering some words of wisdom, spiritual teachings and personal experiences for you this Pride month …
BUNNY MICHAEL. @bunnymichael. They / them.
“When I think about it now, coming out queer at age 15 in Texas was probably one of my first spiritual experiences. It was the first time I had to trust what my heart was telling me, not what I was conditioned to believe in. It was the first time I had defined for myself what Love was. It was the first time I was truly afraid. Afraid to lose the people who were most close to me. It was the first time I questioned my worth. Being queer gave me an early insight that the spiritual path isn’t always easy … and it’s not supposed to be. It shows you your limits and how to break free of them. It challenges your foundations and builds a bridge to step into a peace within yourself. It shows you that in every space you walk into it is your responsibility to stand up for Love.”
Bunny is a healer, writer, musician, activist and artist.
SAH D’SIMONE. @sahdsimone. He/ his.
“A little residue of the collective prejudice [on being queer] still creeps up in my mind once in a while, and in the past it would leave me with a knot in my throat, followed by thoughts of guilt and shame around being myself. Now after 6 years of spiritual work I can see that unconscious reaction taking place and I can pause the downward spiral — breathe it out, and wish myself and everyone that could be getting hooked in this collective trauma to heal and be okay with being themselves so fully! Truth I stand by is that when we are truly ourselves without the baggage of shame that was passed on to us, we are actually inviting other people to be themselves fully too. And wow that’s a powerful spiritual gift you’re sharing with everyone around you.”
Sah is a gay identified meditation teacher and transformational coach.
DANNY BRAVE. @hellodannybrave. He/his.
“Spiritual practice allows me to get into alignment with my soul, and sexuality is my favored way of embodying that soul with the fullest pleasure and power. Being queer, as it turns out, means just being me. It means I don’t follow the ‘rules’ with gender, with relationships, with clothing, or with essentially anything. It means I am just me.”
Danny is a trans identified healer, writer and activist.
LISA LUXX. @luxxy_luxx. She/her.
“My sexuality IS my spiritual position: I’m daughter of our elemental earth, all my relationships are seasonal, and I desire women who view all levels of intimacy as a conscious practice where we can exercise our subconscious and unconscious paradigms, ultimately making every connection a space to grow in …”
Lisa is a queer writer and activist and poet living in the UK.
(Materials data that have nothing to do with the page)
'''
{"formula": "Ho2AlNi2", "functional": "GGA-PBE", "state": "optimized geometry", "lattice": [[-2.0339, 2.7406, 4.1792], [2.0339, -2.7406, 4.1792], [2.0339, 2.7406, -4.1792]], "species": ["Ho", "Ho", "Al", "Ni", "Ni"], "frac_coords": [[0.2050, 0.2050, 0.0000], [0.7950, 0.7950, 0.0000], [0.5000, 0.0000, 0.5000], [0.2264, 0.5000, 0.7264], [0.7736, 0.5000, 0.2736]], "ef_ev_per_atom": -0.5568, "e_tot_ev_per_cell": -27.25}
'''
AARON ROSE. @aaronxrose. He/him.
“My gender & sexuality have been evolving my whole life. The more I heal, the more I develop my spirituality, the more me I become. These days I identify as a gay trans man. When I was 7 years old I was obsessed with Leonardo DiCaprio and I always wondered: do I want to be him or date him? Turns out the answer is both!I feel deeply that there is a very specific reason that I am a man who experienced socialization & abuse as a child who the world saw as a girl. Those experiences have allowed me to grow up into a healed and whole man, with a deep capacity for nurturance and emotional presence. I am called to celebrate both the divine feminine and masculine within myself and lead from that place of integration.”
Aaron is a gay trans identified coach and leader who works on diversity and inclusion strategies for businesses and individuals.

Ultimately, it’s up to us to revolutionize the modern spirituality scene to become more inclusive, diverse, and celebratory of healthy sexual and creative expression, dialogue, and freedom. Regardless of your own sexual, political, or romantic preferences, here are a few things we can all do to make spiritual spaces more inclusive:
– No assumptions! You can’t assume someone is male or female or gay or straight. Ask! If they wanna answer then great, if not all good. Respect the boundaries.
– Take out gender referential language. You can still honor masculine and feminine of course. But saying directly “hi ladies!!” Or “hey guys!” Or “hey goddess!” Can hurt hearts if this does not speak to the experience of someone in the group. Claim what works for you.
– Update for the Now Age. If you’re leading or teaching from ancient texts consider modifying language for 2018 to be more inclusive.
Thank you to everyone out there stepping up, stepping out, shining bright, risking, shouting, asking questions, listening, and shifting the old paradigm of spirituality and wellness into more inclusivity and diversity to reflect the world we live in.